Governor Youngkin Announces Bode Technology Investing $2 Million for Fairfax County Expansion

Governor Youngkin has announced in a press release today, that Bode Technology, a Fairfax-based leading provider of forensic services, will invest $2 million to expand its DNA testing services lab in Fairfax County to support increased customer demand.

“We are proud to have this innovative, Virginia-founded business and congratulate Bode Technology on its continued growth in Fairfax County. Biotechnology is evolving rapidly in the 21st century and leading firms like Bode help drive the Commonwealth’s position as a leader in this vital sector. We look forward to continuing to see the company’s impact and thank Bode Technology for its confidence in Virginia.” said Governor Youngkin. 

Entry 1:
Here is crystalline CaPm4Pt4 at its relaxed geometry from Alexandria via LeMat-Bulk. Energies are from PBE-GGA.

a b c (Å): 9.3870 9.3870 5.8212
angles (deg): 90.00 90.00 90.00
Fractional coordinates of all 18 atoms:
Ca: 0.2500 0.2500 0.2500
Ca: 0.7500 0.7500 0.7500
Pm: 0.0697 0.6476 0.2474
Pm: 0.1476 0.9303 0.7474
Pm: 0.3524 0.5697 0.7474
Pm: 0.4303 0.8524 0.2474
Pm: 0.5697 0.1476 0.7526
Pm: 0.6476 0.4303 0.2526
Pm: 0.8524 0.0697 0.2526
Pm: 0.9303 0.3524 0.7526
Pt: 0.0468 0.6426 0.7474
Pt: 0.1426 0.9532 0.2474
Pt: 0.3574 0.5468 0.2474
Pt: 0.4532 0.8574 0.7474
Pt: 0.5468 0.1426 0.2526
Pt: 0.6426 0.4532 0.7526
Pt: 0.8574 0.0468 0.7526
Pt: 0.9532 0.3574 0.2526

Calculated values
Raw total energy in eV for the cell shown: -107.62
DFT formation energy in eV/atom: -0.960



Entry 2:
Here is crystalline Ca2PmPt9 at its relaxed geometry from Alexandria via LeMat-Bulk. Energies are from PBE-GGA.

a b c (Å): 9.4264 9.4264 9.4264
angles (deg): 33.43 33.43 33.43
Fractional coordinates of all 12 atoms:
Ca: 0.1420 0.1420 0.1420
Ca: 0.8580 0.8580 0.8580
Pm: 0.0000 0.0000 0.0000
Pt: 0.0815 0.5857 0.5857
Pt: 0.3329 0.3329 0.3329
Pt: 0.4143 0.4143 0.9185
Pt: 0.4143 0.9185 0.4143
Pt: 0.5000 0.5000 0.5000
Pt: 0.5857 0.0815 0.5857
Pt: 0.5857 0.5857 0.0815
Pt: 0.6671 0.6671 0.6671
Pt: 0.9185 0.4143 0.4143

Calculated values
Raw total energy in eV for the cell shown: -73.09
DFT formation energy in eV/atom: -0.831



Entry 3:
Here is crystalline Ca2Pm2Pt2Rh at its relaxed geometry from Alexandria via LeMat-Bulk. Energies are from PBE-GGA.

a b c (Å): 7.5242 7.5242 7.6289
angles (deg): 115.04 115.04 29.18
Fractional coordinates of all 7 atoms:
Ca: 0.2147 0.2147 0.2716
Ca: 0.7853 0.7853 0.7284
Pm: 0.4699 0.4699 0.2440
Pm: 0.5301 0.5301 0.7560
Pt: 0.1118 0.1118 0.5429
Pt: 0.8882 0.8882 0.4571
Rh: 0.0000 0.0000 0.0000

Calculated values
Raw total energy in eV for the cell shown: -38.33
DFT formation energy in eV/atom: -0.770



Which value of DFT formation energy does entry 3 give?
-0.770 eV/atom



DFT formation energy of number 3 (Ca2Pm2Pt2Rh)?
-0.770 eV/atom

~~~~~

Run P
# Ta2IrPd2

Ta2IrPd2 after structural relaxation (GGA-PBE, Alexandria).

The calculation puts the density of states at the Fermi level at 5.201 states/eV/f.u. The crystal system is tetragonal.

Unit cell a=3.5898 b=3.5898 c=13.6649 alpha=90.00 beta=90.00 gamma=90.00
With the nearest neighbours (Å) after each atom.
Space group I4/mmm (No. 139)
Asymmetric unit:
Ta  0.0000  0.0000  0.0965 (multiplicity 4)  1 Ta 2.64, 4 Pd 2.76, 4 Ir 2.86
Ir  0.0000  0.0000  0.5000 (multiplicity 2)  8 Ta 2.86
Pd  0.0000  0.5000  0.2500 (multiplicity 4)  4 Pd 2.54, 4 Ta 2.76

=====

Run Q
# Ta2IrPd2

Ta2IrPd2 after structural relaxation (GGA-PBE, Alexandria).

The calculation puts the density of states at the Fermi level at 3.409 states/eV/f.u. The crystal system is tetragonal.

Unit cell a=7.1825 b=7.1825 c=3.2086 alpha=90.00 beta=90.00 gamma=90.00
With the nearest neighbours (Å) after each atom.
End of the crystal structures =

Based in Lorton community of Fairfax County, Bode Technology operates one of the most internationally respected private forensic DNA laboratories. It provides a comprehensive set of state-of-the-art forensic DNA collection products, DNA analysis services, and research services to law enforcement, the justice system, and other government agencies around the world.

“Bode Technology’s success over the past 25 years clearly demonstrates the value of Northern Virginia’s world-class higher education institutions, research assets, and skilled talent pipeline,” said Secretary of Commerce and Trade Caren Merrick. “This incredible company is able to tap into the Commonwealth’s high concentration of biotech workers to help agencies around the globe identify criminals, solve cold cases, and identify remains from wars and natural disasters, making our society safer and providing closure to families with lost loved ones. We salute Bode Technology’s mission and look forward to supporting its future growth.”

Bode Technology’s forensic DNA experts have assisted in identifying criminals in every state in the U.S., as well as victims of war, terrorism, crime, and natural disasters, including the 2001 attack on the World Trade Center, the conflicts in Cyprus, and the remains of U.S. soldiers dating back to World War II. Earlier this year, Bode Technology assisted the Fairfax County Police Department in identifying two victims of a suspected serial murderer dubbed the “Shopping Cart Killer.”

Mike Cariola, CEO of Bode Technology, had this to say about the announcement:

“For more than 25 years, Bode Technology has called Virginia our home, and today’s announcement is a testament to that bond.To help fight crime, we need to hire the most talented scientists in the world, and the universities in Virginia and surrounding areas have been essential to our success. Demand for our services has increased, and today we are recruiting talented scientists from across the country to join us here in Fairfax County so that we can continue our mission.”

The company will hire additional senior and entry-level laboratory technicians, information technology and engineering professionals and other business support roles, creating more than 70 new jobs. They are also being supported by the Virginia Jobs Investment Program (VJIP), which provides consultative services and funding to companies creating new jobs in order to support employee recruitment and training activities. As a business incentive supporting economic development, VJIP reduces the human resource costs of new and expanding companies. VJIP is state-funded, demonstrating Virginia’s commitment to enhancing job opportunities for citizens.

With this investment, Youngkin will not only create jobs, which was one of his campaign promises, he will also be massively expanding Virginia’s technology sector, something that could have serious growth in the future.